Advise on SO-IUI vs IVF?

I need not go for that earlier blood test cos my doc more kiasu, already prescribe me progesterone pills to insert 2 times a day.Or maybe she thinks my case more jia lat.

I dun have the gas problem, or maybe not yet? The last time I did clomid-iui, doc also gave me pregesterone pills, so there is no blood test needed. But my pills is oral, not to insert in "there". Is there difference?
Lol...bbcripps that a good one... Ya the blood test is to check the progesterone level. I gg to chi on mon then pregnancy is on 24 May. Long long wait...
Princessleopard, for me the gas sets in after the IUI, I think around ovulation time, when I was super bloated. I read somewhere on the internet the progesterone pills actually can be taken orally or inserted down there. Man I wished mine was orally... its kinda strange to have to insert the pills down there u know, plus the morning dose I have to do in the office toilet. I had to cut my index fingernail short for hygiene purposes, n also cos I most certainly would not want to accidentally cut myself in there u know what I mean... ouchie! Damn sayang la, my beautiful gel nails *bimbo!* Hehehe.

Jess I have one more week to my blood test. On one hand I can't wait for my 2ww to be over. On the other hand, I'm soooo nervous n scared to find out the result next Fri. Very dilemma hor...

ya, I think I will be the same if i were you. cos I am not a tampon person.

Now I am a bit worried, cos initially thought iui will be done on D14, but now doc say D15 better. To give the 2 13mm follciles more time to grow. But then, I will not be able to rest the next day. Got to get back to work, very busy work schedule. :9
Princessleopard, actually I use tampons, but tampons not as bad, cos it comes with an applicator, this little pills I have to use my fingers, n preferably it should be in as deep as possible so more can be absorbed before it leaks out, so it's just damn weird...

Don't worry on the timing of your IUI, since the follicles grow an average of 1-2mm a day, your lead follicle should be nice n ripe at 20+, n the 2 smaller ones will be at least 18mm then. I think the follicle needs to be at least 18mm to contain a viable egg, so this way u get 3 chances!
Positive thoughts!
wow, still have to insert as deep as possible, this is really weird.

Really hope will succeed, I am trying to keep myself stress free though the work is hectic.
It's not easy that we pick up the courage to go thru all these. Dont stress too much, think positive and enjoy while u can now. I enjoying my beauty sleep these few days. No need to do housework (hubby does all) and really relax my body... Will be going bk to work next mon since I did my iui on wed, mc 2days and took a day leave today. So total I rest 5days before I go bk to work. Just do your part to take care of yrself and the rest leave it to god. Everything is fated, we did our part and even if unsuccessful at least WE TRIED.

Enjoy the weekend with yr loved ones.
HI Ladies,

So nice to have all of the ladies sharing their experiences gg thru the SO-IUI.

I will be going for SO-IUI in July 2012.

Hopefully all turn out well smoothly...

Btw, any one got idea whether if i can choose any doctor to follow up on my case?? I was refered to KKIVF by Clinic D after founding out that my right fallopian tube was blocked.
Hi Duffy Bear,

I was seen by Dr Sadhana Nadarajah Clinic D to KKIVF. I was previously under subsidised patient while doing all the test nd checks till I told the doc on duty that I wished to try ivf and Dr Sadhana (Head IVF) was recommended by my friend. Since then I was upgraded to private class and seen by her. Her rates are not subsidised. She advised me to try SO-IUI first while waiting for queue for ivf.

But during the process of so-iui, u be seen by a group of Ivf doc and yr results and progress will be reported to your assigned doc which you following and get instructions from him/her. The procedure will also be done by duty doc.

I had this weird feeling around my womb. Dunno how to describe as it is not pain nor cramp. When I walk, I feel heaviness especially near the lower right corner near pelvic. Do u all have this sensation?
Princessleopard, think its yr ovary that carry many big and heavy follicles which give u the weird feeling.

Today cramps came back on the right near my pelvis. Don know why?

I learnt from Internet that Rasberry Tea Leaf is good for us, and it caffein free.

-It increases fertility in both men and women (drink for a few months while trying to conceive).

-Prevents miscarriage and postpartum hemorrhage by helping to tone the uterus thus creating a relaxed (atonic) uterus.

-Eases morning sickness

-Reduces pain during labor and after birth: By toning the muscles used during labor and delivery RRL eliminates many of the reasons for a painful delivery and prolonged recovery. It does not, however, counter the pain of pelvic dilation.

-Assists in the production of plentiful breast milk

-Can help make labor faster: RRL works to encourage the uterus to let go and function without tension. It doesn’t strengthen contractions but it does allow the uterus to work more efficiently

-Studies show that women taking RRL have a reduced incidence of artificial rupture of membranes, forceps delivery or cesarean

Other Uses for Red Raspberry Leaf:

-Treating the common cold or flu (Treat with a RRL fast. Drink only the tea while your symptoms persist. Once your symptoms are gone return to eating fresh fruits/vegetables.)

(Records of crystals from another source follow)
____________
No. 1
Diffraction record for KTlAu2I8. The X-ray powder pattern is simulated, not measured: it uses the PBE geometry in Alexandria and Cu Kα X-rays.
Intensities are scaled so that the largest is 100.

The 10 most intense peaks (2θ = 15–90°), by intensity:
35.79°, 2.509 Å, intensity 100; 24.14°, 3.687 Å, intensity 70; 24.34°, 3.657 Å, intensity 43; 50.48°, 1.808 Å, intensity 32; 21.06°, 4.219 Å, intensity 32; 20.91°, 4.248 Å, intensity 31; 54.63°, 1.680 Å, intensity 25; 32.24°, 2.777 Å, intensity 23; 32.40°, 2.763 Å, intensity 22; 29.85°, 2.993 Å, intensity 20

Crystal structure
```
KTlAu2I8
1.0
-4.219 4.219 7.374
4.219 -4.219 7.374
4.219 4.219 -7.374
K Tl Au I
1 1 2 8
direct
0.000 0.000 0.000
0.250 0.750 0.500
0.500 0.500 0.000
0.750 0.250 0.500
0.047 0.300 0.876
0.205 0.457 0.628
0.423 0.795 0.252
0.424 0.171 0.124
0.543 0.171 0.748
0.700 0.576 0.747
0.829 0.577 0.372
0.829 0.953 0.253
```

***

No. 2
Diffraction record for La8ZnAu3I4. The X-ray powder pattern is simulated, not measured: it uses the PBE geometry in Alexandria and Cu Kα X-rays.
Intensities are scaled so that the largest is 100.

The 10 most intense peaks (2θ = 15–90°), by intensity:
27.76°, 3.214 Å, intensity 100; 40.65°, 2.220 Å, intensity 37; 38.66°, 2.329 Å, intensity 37; 49.94°, 1.826 Å, intensity 20; 63.46°, 1.466 Å, intensity 14; 57.34°, 1.607 Å, intensity 12; 66.25°, 1.411 Å, intensity 11; 72.61°, 1.302 Å, intensity 8; 46.53°, 1.952 Å, intensity 6; 66.33°, 1.409 Å, intensity 6

Crystal structure
```
La8ZnAu3I4
1.0
7.695 -4.435 0.000
7.695 4.435 0.000
-5.137 0.000 7.808
La Zn Au I
8 1 3 4
direct
0.238 0.238 0.713
0.239 0.740 0.719
0.260 0.260 0.281
0.260 0.761 0.281
0.740 0.239 0.719
0.740 0.740 0.719
0.761 0.260 0.281
0.762 0.762 0.287
0.500 0.500 0.500
0.000 0.000 0.500
0.000 0.500 0.500
0.500 0.000 0.500
0.000 0.000 0.000
0.000 0.500 0.000
0.500 0.000 0.000
0.500 0.500 0.000
```

***

No. 3
Diffraction record for Li2Au3I6. The X-ray powder pattern is simulated, not measured: it uses the PBE geometry in Alexandria and Cu Kα X-rays.
Intensities are scaled so that the largest is 100.

The 10 most intense peaks (2θ = 15–90°), by intensity:
24.06°, 3.698 Å, intensity 100; 23.44°, 3.795 Å, intensity 31; 53.47°, 1.714 Å, intensity 20; 41.16°, 2.193 Å, intensity 19; 36.10°, 2.488 Å, intensity 18; 45.30°, 2.002 Å, intensity 18; 32.61°, 2.746 Å, intensity 17; 48.32°, 1.883 Å, intensity 10; 40.51°, 2.227 Å, intensity 10; 41.28°, 2.187 Å, intensity 10

Crystal structure
```
Li2Au3I6
1.0
6.561 -3.802 0.000
6.561 3.802 0.000
-4.423 0.000 16.478
Li Au I
4 6 12
direct
0.166 0.666 0.999
0.334 0.834 0.501
0.666 0.166 0.499
0.834 0.334 0.001
0.067 0.933 0.750
0.251 0.431 0.250
0.431 0.251 0.750
0.569 0.749 0.250
0.749 0.569 0.750
0.933 0.067 0.250
0.026 0.866 0.594
0.134 0.974 0.906
0.205 0.363 0.094
0.298 0.472 0.406
0.363 0.205 0.594
0.472 0.298 0.906
0.528 0.702 0.094
0.637 0.795 0.406
0.702 0.528 0.594
0.795 0.637 0.906
0.866 0.026 0.094
0.974 0.134 0.406
```

***
____________
(So much for the records of crystals)

-Treating sore throat

-Treating diarrhea (Drink 6 cups a day to treat diarrhea)

-Regulating a menstrual period and decreasing heavy periods (Drink 2-3 cups per day. After 2-3 months you should obtain a regular cycle.)

-Treating Acne: It can act as an astringent on irritated skin by tightening the top layers of skin which effectively reduces secretions, relieves irritation and improves tissue firmness.

-Can be used as a mouth wash to soothe mouth and throat irritations

-Can lower blood sugar in those suffering with diabetes (Those with diabetes must take care not to take RRL in too high of doses or it could actually cause their blood sugar to drop too low).

It can be substitute with our normal tea. I just bought one box 20bags from one of those organic health shop.
Jess, so I think its normal. Today I feel better.

I heard from other threads also recommend raspberry tea. But they say cannot drink during preggy. Not sure if its true. I almost buy a couple months ago. DId u buy online?
I think one cup per day is ok for our body. I bought it at city square mall (farrer park). U can easily get it from those health supplement shop.
Hi all,

Wanted to check with all of u the difference between IUI and SO-IUI? When will the doc advise you to go for SO-IUI versus IUI?
Hello ladies,

DPO10 for me today, my blood test is scheduled for this Fri, i'm sooooo nervous.

I bought the raspberry tea too! From Cedele, $9.90 per box. But i think i will only start drinking if this cycle doesn't work n my AF comes la.

Jess, how was your blood test? Today right?

Princessleopard, good luck for your IUI tomorrow!

Emma, SO-IUI stands for super ovulation IUI. Basically its IUI combined with injections (either Puregon or Gonal F) to stimulate more follicles to grow n mature (ideally 2-3 good sized ones) to increase chances of fertilization n implantation. Hmmm, for me, as my cycles r regular n i ovulate every month, my first doc got me to try out 3 cycles of unmedicated IUI. It didn't work for me though, could be becos even though i did produce an egg every month on schedule, that particular egg's quality is not good enough. SO-IUI is kinda just to increase your chances for the month, that hopefully maybe out of the 3 eggs produced, at least 1 is a better quality one that sticks.

Yes I went for blood test today, nothing much as the nurse say that it's for record purpose only

Time flies, u'll know yr results soon. Mine is next thurs. stay positive and let nature take its course

I only drink the raspberry leaf tea every other day. Bought Lipton infusion herbal tea (caffein free) - lemongrass ginger to replace my daily black tea.

Princessleopard, all the best luck tml for yr iui. Dont stress and suggest u drink one bottle of chicken essence in the morning before u leave home. It's give you more energy, qi and nourish yr body.
Thanks ladies!!

Today I feel so heavy on the womb area, even walking also can feel heaviness. I hope the follicles are in good size. I am trying to keep myself as relax as possible. Good luck to tomorrow!!

bbcripps, u should relax too, ok? Friday comes very fast. Hope to hear good news from u on friday!! Good luck!!

Jess, what do they need to record from blood test?
Princessleopard I think that heaviness is a sign of impending ovulation, I had that for abt 3-4 days after my trigger shot as well. Plus u have a few nice big follicles in u, so more likely to feel bloated. How did your IUI go today? Have a good rest today!

I'm so sad today. I had severe breast soreness for the past 1 week, n even though I know back then it was way too early to be a sign of anything n that it was only a side effect of my progesterone inserts, it was nonetheless promising I thought. Then this morning, I woke up, n nothing. No ache no soreness no pain no bloatedness no cramp no nothing. Absolutely no feelings *sniff* Very sad lei.....

Don be sad... I also don't feel anything except I feel my chest tight and show signs of white discharge and no breast soreness, no bloatedness, no cramps. We still keep our finger cross and pray for a positive results.
bbcripps, dun be sad. Keep ur positive thoughts going! All these signs can be very confusing at times. Every month I seems to have something different coming up too. I try to ignore them cos it will only make u bother / stress over it. Just 3 more days to friday, we pray for good news!!

Well, the iui went alright, but I am quite concern about the semen result though. Cos today in the result, I saw that the sperm normal form is way below average. I asked doc about it, she say though its below average but still have chance. Cos we only need 1 sperm to fertilise. It is true but I just cant help worrying.
Princessleopard, need not worry too much. My Dh produce very little sperm on iui day and I was very upset on the amount. He's too nervous when producing... Lol. But like wat the doc say, just need one good one to make miracle. Stay positive all ladies...
Thank u ladies for your words of encouragement. Should try not to think abt it. Think my mood is down cos the stock market is down - occupational hazard!

Princessleopard, my hubby has the same problem. Everything ok except for morphology (normal forms). He was at only 2%! But after 3-4 months of Vitamin B, C n E as recommended by gynae, for this last round of IUI, it improved to 5%! He was damn pleased with himself lor *roll eyes* So maybe your hubby can take some vitamins. Good for general health anyway.
bbcripps, my hubby is taking tcm & multi vit now. I think he will go back to tribestan which he had taken before. After taking the tcm, his sperm count increased from 14mil to 82mil today. But the normal form drop. Today's 6%.

I hope one sperm make it there!
hi, just like to ask u ladies, under what situation will d doc recommend for SO-IUI? if i'm ovulating regularly, will d doc still recommend me to undergo SO-IUI?
Depressed gal, I ovulate regularly too, so I tried 3 cycles of unmedicated IUI. However they didn't work for me, could be due to egg quality, could be due to sperm quality, or simply that they did not make the connection, so I moved on to SO-IUI (which is basically to increase the odds). U can see my reply to Emma above.

how do u feel after iui? I feel terrible this time. Womb area feel so heavy, much heavier compared to before iui. I dun say its painful but its kinda like cramps. when i walk, it feel terrible, so i lie down all day after iui. cos of the discomfort, i din get together to DH within 24 hrs, cos really cannot do it. lol. today still feel a bit discomfort but better then yesterday. Is this normal? The last time i did clomid-iui wasnt like that though.
Princessleopard, I had exactly the same experience as u. The first 3-4 days after the IUI were tough for me. Was thinking it's either due to the trigger shot (which is a shot of concentrated pregnancy hormones - apparently Pregnyl is made from the pee of pregnant women - yikes!!), or the follicles releasing the eggs, cos when the follicles rupture, they release fluids, so when we have 3 eggs, alot of fluids go to our womb, making us super bloated. I did not have this problem when i went for my unmedicated IUI. For me the bloatedness only went away fully after abt 5-6 days. Think you will feel a lot better by this weekend. Hang on in there!

yucks, I dunno that its urine!! gosh...
But i have this shot when I do clomid-iui, I am fine though. Only this round so uncomfortable. I feel bloated now.

Good luck to your blood test tml!!!
bbcripps, thks for ur explanation...can we jump straight to SO-IUI instead of waiting for 3 rounds of IUI or will it be better to go to IVF?

Feel really emo coz it been very long since TTC. Recently keep hearing gd news from others where they married later than me n yet im still struggling to rch my goal

Even get quest by pple y so long i still no result...sobz...
Depressed gal,

I think u can seek advice fr yr doc if it's ok to go straight to SO-IUI. I intended to go IVF in the first place but my doc advise me go one round of SO-IUI, if not successful then straight to IVF. No point going so many rounds, waste of $$$.
Depressed gal,

How old are you and which doc and hospital u went? It all depends on yrself. If u r really keen in doing SO-IUI, u may want to seek 2nd opinion from other doc.
Jess, i'm 32 already, currently is seeing dr yu at sgh, m thinkin to go to ivf coz i'm longing to hold my little one in my arms.

How bout u? Which doc u r seeing? What stage r u now?
Depressed gal,

I am 35 and under Kkh by Dr Sadhana. I'm in my 2ww after my 1st SO-IUI. Going for my blood test next thur. Nervous!!!
Hi, Im going for my IUI at KKH.. Today I went for ultrascan, e doc said there was only 1 egg and it was small.. Pretty upset.. Have been trying for a child e past 3 years.. Everytime it's e same either I'm not ovulating or e egg is small.. My friends and cousins younger than me r getting pregnant almost immediately after marriage n I'm struggling.. Feel so useless..
Hello ladies

So sad I don't have good news, it's a BPN. Sob sob. Haiz. Thought we had a chance, thought we did everything right, but still cannot. My doc is not sure why it did not work, but she said based on my response to the drugs n my hubby's numbers, it's worth a 2nd try. So I think maybe we will give this another shot in July. Haiz. I think of all the shots all over again I damn sian man... but I guess no choice, just gotta do it n hope for the best when the time comes.

One thing i noticed though - Doc says my period will start 3 days after I stop the progesterone inserts. However my last dose was last night, n by this afternoon my period came already. So it got me wondering - could it be my uterus is not strong enough, even with the inserts. Cos my period came even when technically I should still be having support from my last dose. Hmmm I think perhaps this is where my raspberry tea should come in.

Bbcripps, same as u, I'm oso sad tat I don't hve gd news to share, sometimes really feel tired in d TTC road n many times wanna give up but then deep down inside me, I still want to achieve my goal. Let jiayou tog again.

Dun be sad, ok? Try again. We still have chance to graduate in 2013 thread.
The progesterone inserts, does it give u any unusual symptoms? I dunno why, but this month, right after the iui, the following day I woke up with very sensitive nipples. I used to only have sore breasts but not nipples. Thought it might be the pills.

Don't be sad, we are here to support one another. There is still chances meanwhile, take care of yourself and try to prepare your body...

Hi welcome to the thread... I also fr kkh. Which doc are u seeing? I read that by eating lots of egg white can help in producing good quality eggs. You may want to try them.
Thanks ladies for your words of encouragement. Am trying not to dwell on it n looking forward to trying naturally for this month. Praying for a miracle!

Princessleopard, the inserts gave me all kinds of symptoms in the first week too. I had really sore boobs, bloatedness n occasional light cramps. But a few days before I tested, the symptoms all disappear. Damn cheat my feelings. But hey, if it persists for u, it could be a good sign!
Hi all, I am new name is Roselyna but u can call me Rosy. Was "looking around" online when I happen to chance upon this site. I read a number of threads and I found that there are a number of people who's in the same boat as me. Has been trying hard ttc for the past 1.5 years... currently am going for check ups at KKH. Next appt is on 14 June. I am currently under clomide. Its the 3rd try if it still doesnt work, I will need to consider either IUI or IVF. N i thought IUI would be a good start. Had went for check ups and found nothing wrong in me n hubby. Just that I am overweight and my menses is not regular. And yes, I have went to TCMs and they said that my womb is "cold" I think its becos I love to drink cold drinks. Make sense?? Any tips or advise that you may want to share with me? Will be most grateful!
bbcripps, I am crossing my fingers on that. Thanks! Miracle may happens, who knows. After I did my last clomid-iui, it failed. But I got preggy naturally the following month, just too bad dunno why I mc. Good luck to you!!

Hi Rosy, welcome to this thread.

Since u mentioned u went to see TCM, did they start to give u medication / herbs to treat ur womb?? Its ok to seek help from both western & tcm, just take the medications 2 hours apart. I think u have to avoid drinking or eating cold stuffs. I had since stop completely. Though initially its difficult, but I have get used to it now. U can also wear slippers at home and wear socks when u sleep.
